Animals are not forceful. Plants are not forceful. Why? Because, while the selfish gene is quite forceful, the animals surrender to the selfish gene… and go “with” it.
Humans are animals with a mind… and the mind is forceful. More forceful than the selfish gene…
The selfish gene is clear on what it wants: it wants to increase itself in the gene pool. That is all it is interested in. It negotiates with nature, with other species, with toxins, with members of the same species continually to lead to evolutionary stable strategies…. ess in short. It adapts or it dies. The more adaptable, the more aware the gene and the vehicle, the more successful the gene is in propagating itself, and it thrives. It cannot
What is soul correction and why would the “divine” part of you need correction?
Let me explain:
The Universe has three energetic components: the positive, the negative, and the neutral.
This repeats itself on every level, the micro and the macro…
On the macro level the positive, giving component is The Force. The negative, receiving component are the souls, and the neutral/restrictive component is the individual’s consciousness.
Some days are special in that you can get enough power infusion into your life for a whole month, some days even for a whole year.
That pesky but is there, of course.
To connect to that power, on your own, you need to have a high enough consciousness… and you don’t. So what can you do?
For the most part: nothing. You can work on elevating your consciousness, but so far you have proven unequal to the task, and unwilling to do the work. Because what elevates consciousness is restriction… Restricting your desire to receive for the self alone… Going against your selfish genes.
Humans have a dual nature, that is the enemy of growth, enemy of learning, enemy to the survival of the species…
Arrogance and pride…
Arrogance is duality in itself.
It says,
Records of crystals from another source follow:
-- begin --
(1)
Theoretical powder diffraction line list
Compound: Na2MnBeF6
Radiation: Cu Kα (λ = 1.5418 Å)
Structure: a GGA+U-relaxed structure

Peak list (10 most intense, 15° ≤ 2θ ≤ 90°, by angle)
hkl  2θ/deg  d_spacing  Rel. int.
1 0 0  16.70  5.310  45
0 0 1  20.28  4.378  59
1 1 0  23.70  3.754  51
1 1 1  31.39  2.850  100
2 0 0  33.76  2.655  34
2 1 0  37.89  2.375  33
2 0 1  39.70  2.270  53
0 0 2  41.24  2.189  43
2 1 1  43.35  2.087  38
2 2 0  48.49  1.877  92

Cell and atoms:
a b c (Å): 5.310 5.310 4.378
angles (deg): 90.00 90.00 90.00
Space group P4mm (No. 99)
Symmetry-distinct sites (fractional):
Na (0.000, 0.500, 0.000) [2 per cell]
Mn (0.000, 0.000, 0.581) [1 per cell]
Be (0.500, 0.500, 0.552) [1 per cell]
F (0.000, 0.000, 0.103) [1 per cell]
F (0.275, 0.275, 0.652) [4 per cell]
F (0.500, 0.500, 0.199) [1 per cell]


(2)
Theoretical powder diffraction line list
Compound: Be2MoF
Radiation: Cu Kα (λ = 1.5418 Å)
Structure: a GGA+U-relaxed structure

Peak list (10 most intense, 15° ≤ 2θ ≤ 90°, by angle)
hkl  2θ/deg  d_spacing  Rel. int.
0 0 2  22.65  3.925  31
0 1 1  23.38  3.804  53
0 1 2  30.68  2.914  100
1 0 1  36.40  2.468  54
0 1 3  40.22  2.242  46
1 1 -1  40.63  2.221  56
0 2 0  41.53  2.175  34
0 2 1  43.17  2.096  26
1 1 -2  44.80  2.023  36
1 1 3  55.20  1.664  24

Cell and atoms:
a b c (Å): 2.672 4.349 7.872
angles (deg): 90.00 94.27 90.00
Space group P2_1 (No. 4)
Symmetry-distinct sites (fractional):
Be (0.028, 0.000, 0.200) [2 per cell]
Be (0.036, 0.955, 0.633) [2 per cell]
Mo (0.410, 0.515, 0.093) [2 per cell]
F (0.047, 0.109, 0.448) [2 per cell]

=====

Structure and computed X-ray diffraction stick pattern of TlAu3Cl9 (DFT lattice parameters and positions (GGA-PBE); copper Kα).

Cell and atoms:
abc: 18.280 7.047 15.481
angles: 90.00 121.81 90.00
Space group Cc (No. 9)
Inequivalent atoms, fractional coordinates:
Tl 0.000 0.168 0.000
Au 0.093 0.450 0.754
Au 0.253 0.007 0.240
Au 0.415 0.484 0.197
Cl 0.004 0.271 0.213
Cl 0.074 0.378 0.888
Cl 0.121 0.462 0.129
Cl 0.150 0.074 0.573
Cl 0.181 0.153 0.811
Cl 0.326 0.172 0.175
Cl 0.355 0.082 0.409
Cl 0.407 0.409 0.834
Cl 0.421 0.380 0.060

Principal peaks in the range 2θ = 10–80°, sorted by position:
2theta, Rel. int.
13.5, 44
19.8, 67
21.3, 100
27.1, 20
28.7, 32
29.8, 29
32.5, 18
40.2, 21

=====

Calculated X-ray diffraction stick pattern of Ba2AgBrO2 for Cu Kα, 1.54184 Å, from a structure optimized by DFT (GGA-PBE).

Principal peaks in the range 2θ from 10° to 90°, by angle:
d = 3.383 Å, intensity 100.0
d = 2.706 Å, intensity 46.3
d = 2.602 Å, intensity 16.0
d = 2.168 Å, intensity 33.6
d = 1.825 Å, intensity 16.8
d = 1.732 Å, intensity 14.2
d = 1.692 Å, intensity 11.3
d = 1.665 Å, intensity 24.0
d = 1.396 Å, intensity 13.8
d = 1.334 Å, intensity 10.4

Structure:
```
data_Ba2AgBrO2
_space_group_name_H-M_alt 'P 1'
_space_group_IT_number 1
_cell_length_a 10.7054
_cell_length_b 10.7054
_cell_length_c 10.7054
_cell_angle_alpha 23.36
_cell_angle_beta 23.36
_cell_angle_gamma 23.36
loop_
-- stop --
on one hand: I already know. I know. I am beyond that.
on the other hand: OMG, I am so stupid. I make so many mistakes. I better slow down, and not be so sure.
What “it” says it knows? Everything. It knows if it is worth it to listen. It knows if it can. It knows the future, the past, what it means, what it doesn’t mean, what it’s about, what is important and what isn’t.
All the background stuff… the stuff that is largely invisible.
This is a long article… about WildFit… Eric Edmeades program that is opening on September 15 on MindValley… and it answers the question: should you do it? Is it any good? What is the truth value? What is the lie value? Worth reading… I think.
I am still on Mindvalley’s mailing list under a fake name… and from time to time I even open their email… like yesterday.
It seems that they are doing a new class with Eric Edmeades and his Wildfit program.
So I watched some of the videos, signed up to a pre-recorded webinar, and diligently muscle tested… because the claims are so seductive and so believable, that I needed to keep myself from being sucked in.
OK, let’s start at the beginning. What is an ess… right? lol. Evolutionary Stable Strategy… ess.
Unless you are my student, or you’ve read about the selfish gene, you don’t know what I am talking about.
It’s about evolution. It’s about the genes that use life-forms as vehicles for their own purposes.
A pigeon is a life form, and it is a vehicle for its selfish genes.
A worm is also a life form, and so is an elephant.
Human is also a life-form, the only one, so far, that is in conflict with the selfish gene.
With the new phenomenon: consciousness, humans are at odds with their own genes… the “vehicle” is revolting again
Some people won’t adhere to a diet that would make them healthy.
Stupidity? Yes, stupidity on a very deep selfish gene level.
It’s not that they don’t understand the price they are paying.
It’s that they make choices that the genes are making: not making waves, not bringing attention to themselves, not being different, fitting in is more important than being healthy, having energy, feeling good, calm, intelligent.
Almost everything “social” is gene directed. I say “almost” because I am humble. I don’t know any social that is NOT gene directed, but there could be, maybe.
So what do the genes want?
The genes want to survive, and they want to pass into a new generation.
During shopping. Is a fruit bowl worth the extra $3? It was 9.95, and it’s now 12.95… she says, and I have no idea how to answer. She has no idea what the weight of the fruit is, what the fruit would cost if you bought it and chopped it up yourself.
# Sm3BiS2
Computed powder XRD pattern, a wavelength of 1.5418 Å. Input: a PBE-relaxed structure.

Main lines, low angle first (5 to 70 degrees two-theta):
- (1 0 1), 15.88 deg, I 423
- (0 2 2), 26.19 deg, I 369
- (2 1 1), 27.51 deg, I 354
- (0 4 0), 31.74 deg, I 472
- (2 3 1), 35.69 deg, I 470
- (2 2 2), 35.91 deg, I 1000
- (4 0 0), 49.39 deg, I 335
- (4 4 0), 59.90 deg, I 379

Structural model:
Cell: 7.3738 11.2761 8.5353 Å, 90.00 90.00 90.00°
Space group Imma (No. 74)
One atom of each set of equivalent atoms:
Sm (0.2299, 0.0000, 0.0000) x8
Sm (0.2500, 0.2500, 0.2500) x4
Bi (0.0000, 0.2500, 0.9078) x4
S (0.0000, 0.0607, 0.2856) x8



# In12GaPb7
Computed powder XRD pattern, a wavelength of 1.5418 Å. Input: a PBE-relaxed structure.

Main lines, low angle first (5 to 70 degrees two-theta):
- (1 3 1), 29.47 deg, I 506
- (1 0 4), 31.88 deg, I 639
- (3 1 2), 32.42 deg, I 922
- (4 0 1), 32.56 deg, I 1000
- (0 3 3), 33.18 deg, I 735
- (0 4 2), 35.28 deg, I 365
- (4 4 0), 56.28 deg, I 316
- (4 3 4), 58.97 deg, I 311

Structural model:
Cell: 13.0761 13.0761 11.5884 Å, 90.00 90.00 120.00°
Space group R-3m (No. 166, hexagonal axes)
One atom of each set of equivalent atoms:
In (0.0000, 0.2601, 0.0000) x18
In (0.0419, 0.5210, 0.1257) x18
Ga (0.0000, 0.0000, 0.0000) x3
Pb (0.0000, 0.0000, 0.5000) x3
Pb (0.0873, 0.1746, 0.7673) x18



# Sc6Ga3Ni
Computed powder XRD pattern, a wavelength of 1.5418 Å. Input: a PBE-relaxed structure.

Main lines, low angle first (5 to 70 degrees two-theta):
- (2 1 -3), 34.54 deg, I 138
- (2 0 -4), 35.75 deg, I 360
- (3 1 -1), 36.60 deg, I 998
- (1 1 3), 38.49 deg, I 1000
- (0 2 0), 38.61 deg, I 624
- (2 2 -4), 53.63 deg, I 217
- (3 3 -1), 68.56 deg, I 140
- (1 3 3), 69.79 deg, I 154

Structural model:
Cell: 8.6891 4.6636 10.3882 Å, 90.00 110.55 90.00°
Space group P2_1/m (No. 11)
One atom of each set of equivalent atoms:
Sc (0.0356, 0.2500, 0.4073) x2
Sc (0.1540, 0.7500, 0.1837) x2
Sc (0.2465, 0.2500, 0.0128) x2
Sc (0.3743, 0.7500, 0.8487) x2
Sc (0.3754, 0.2500, 0.3469) x2
Sc (0.3896, 0.2500, 0.6438) x2
Ga (0.0432, 0.7500, 0.8869) x2
Ga (0.1257, 0.2500, 0.7244) x2
Ga (0.2765, 0.7500, 0.4821) x2
Ni (0.4047, 0.7500, 0.1126) x2



# Nd2ZnPd6
Computed powder XRD pattern, a wavelength of 1.5418 Å. Input: a PBE-relaxed structure.

Main lines, low angle first (5 to 70 degrees two-theta):
- (0 0 2), 30.78 deg, I 225
- (1 1 1), 34.52 deg, I 182
- (1 0 2), 35.69 deg, I 454
- (0 2 1), 39.01 deg, I 1000
- (2 0 2), 47.83 deg, I 200
- (1 1 3), 57.17 deg, I 141
- (2 1 2), 57.96 deg, I 95
- (2 2 0), 64.10 deg, I 199

Structural model:
Cell: 5.8109 5.8109 5.8085 Å, 90.00 90.00 120.00°
Space group P-3m1 (No. 164)
One atom of each set of equivalent atoms:
Nd (0.3333, 0.6667, 0.3186) x2
Zn (0.0000, 0.0000, 0.5000) x1
Pd (0.1739, 0.3477, 0.8113) x6



# Si2RhCl
Computed powder XRD pattern, a wavelength of 1.5418 Å. Input: a PBE-relaxed structure.

Main lines, low angle first (5 to 70 degrees two-theta):
- (1 1 0), 18.65 deg, I 715
Just the question, out of context… is it worth it?
So what the heck is really this phenomenon: lazy, that is not lazy at all… but what is it really, if it is not actually lazy?
Download the pdf version of this article at the end of the article
The problem with language, any language, is this: words don’t mean the
The first thinking brain, the genes driven brain creates a life of reactivity, full of fear, full of anxiety, full of sharp turns and devastating jerks. I’ve lived there… and I hated it.
The second thinking brain, the one that evaluates, reasons, figures stuff out, is slow and plodding, and hard work. Creates real solutions, keeps you out of trouble… but not really fun.
And then there is the third thinking brain… the work of thinking is done in the background, on the back burner, while the foreground is silent, resting, or busy learning something new..
That is where I live now.
== Materials data from another source follow ==
********
Structure and computed X-ray powder pattern of NaSiSnAu3 (a crystal structure in Alexandria, relaxed with GGA-PBE; λ = 1.5418 Å (Cu Kα)).
Kinematic intensities with the Lorentz-polarization factor, no thermal factor.

Main lines, sorted by position (2θ = 10–90°):
hkl 1 1 1, d = 4.326 Å, intensity 100; hkl 1 3 -1, d = 3.110 Å, intensity 61; hkl 1 3 1, d = 2.997 Å, intensity 42; hkl 0 2 2, d = 2.944 Å, intensity 18; hkl 2 0 -2, d = 2.568 Å, intensity 46; hkl 2 0 2, d = 2.327 Å, intensity 36; hkl 2 4 0, d = 2.246 Å, intensity 29; hkl 0 4 2, d = 2.221 Å, intensity 30; hkl 1 1 -3, d = 2.185 Å, intensity 17; hkl 1 5 1, d = 2.094 Å, intensity 20

Crystal structure
```
data_NaSiSnAu3
_chemical_formula_sum 'Na4 Si4 Sn4 Au12'
_cell_length_a 7.024
_cell_length_b 11.726
_cell_length_c 6.842
_cell_angle_alpha 90.00
_cell_angle_beta 95.65
_cell_angle_gamma 90.00
_symmetry_space_group_name_H-M 'C 1 2/c 1'
_symmetry_Int_Tables_number 15
_symmetry_space_group_name_Hall '-C 2yc'
loop_
_atom_site_label
_atom_site_type_symbol
_atom_site_fract_x
_atom_site_fract_y
_atom_site_fract_z
Na1 Na 0.000 0.243 0.250
Si1 Si 0.000 0.480 0.750
Sn1 Sn 0.000 0.035 0.750
Au1 Au 0.000 0.267 0.750
Au2 Au 0.219 0.416 0.502
```

Structure and computed X-ray powder pattern of AcPm4Ir3 (a crystal structure in Alexandria, relaxed with GGA-PBE; λ = 1.5418 Å (Cu Kα)).
Kinematic intensities with the Lorentz-polarization factor, no thermal factor.

Main lines, sorted by position (2θ = 10–90°):
hkl 2 0 0, d = 6.416 Å, intensity 22; hkl 2 0 -2, d = 4.856 Å, intensity 25; hkl 1 1 -2, d = 4.264 Å, intensity 26; hkl 2 2 -1, d = 3.197 Å, intensity 48; hkl 3 1 1, d = 3.133 Å, intensity 100; hkl 4 2 -2, d = 2.452 Å, intensity 51; hkl 5 1 0, d = 2.423 Å, intensity 86; hkl 1 3 2, d = 2.089 Å, intensity 59; hkl 2 0 4, d = 2.036 Å, intensity 26; hkl 6 2 2, d = 1.566 Å, intensity 27

Crystal structure
```
data_AcPm4Ir3
_chemical_formula_sum 'Ac4 Pm16 Ir12'
_cell_length_a 13.845
_cell_length_b 7.302
_cell_length_c 10.505
_cell_angle_alpha 90.00
_cell_angle_beta 112.06
_cell_angle_gamma 90.00
_symmetry_space_group_name_H-M 'C 1 c 1'
_symmetry_Int_Tables_number 9
_symmetry_space_group_name_Hall 'C -2yc'
loop_
_atom_site_label
_atom_site_type_symbol
_atom_site_fract_x
_atom_site_fract_y
_atom_site_fract_z
Ac1 Ac 0.000 0.180 0.000
Pm1 Pm 0.109 0.320 0.698
Pm2 Pm 0.213 0.162 0.393
Pm3 Pm 0.301 0.335 0.098
Pm4 Pm 0.395 0.166 0.815
Ir1 Ir 0.203 0.000 0.138
Ir2 Ir 0.299 0.499 0.347
Ir3 Ir 0.407 0.009 0.072
```

Structure and computed X-ray powder pattern of Er4Pb3 (a crystal structure in Alexandria, relaxed with GGA-PBE; λ = 1.5418 Å (Cu Kα)).
Kinematic intensities with the Lorentz-polarization factor, no thermal factor.

Main lines, sorted by position (2θ = 10–90°):
********
I am getting a few questions about that, and I decided to tell you as much as I can see… the mechani